# Work order
Type out only the lines below with the word "CN" in them, please.

# File
+++
*A*
{
  "formula": "C4H4N2OS",
  "method": "ωB97M-V/def2-TZVPD",
  "elements": ["C", "C", "C", "C", "N", "N", "O", "S", "H", "H", "H", "H"],
  "xyz": [[1.472, -0.478, -0.042], [1.233, 0.907, -0.022], [0.596, -1.543, 0.043], [-1.628, -0.555, 0.070], [-0.721, -1.309, 0.132], [0.069, 1.347, -0.298], [-3.418, 1.239, 0.341], [-3.221, -0.137, -0.185], [2.599, -0.584, -0.081], [2.220, 1.391, 0.169], [0.842, -2.629, 0.091], [-0.043, 2.352, -0.219]],
  "homo_lumo_gap_ev": [6.81, 6.80],
  "total_charge": 0,
  "lumo_energy_ev": [-0.878, -0.879]
}

---

*B*
{
  "formula": "C4H4N2OS",
  "method": "ωB97M-V/def2-TZVPD",
  "elements": ["O", "C", "C", "N", "C", "S", "C", "N", "H", "H", "H", "H"],
  "xyz": [[2.740, 0.043, -0.004], [1.382, -0.024, 0.006], [0.640, 1.169, 0.000], [-0.683, 1.146, -0.006], [-1.277, -0.048, -0.002], [-3.048, -0.115, -0.001], [-0.523, -1.221, -0.003], [0.799, -1.208, -0.004], [3.028, -0.876, 0.002], [1.145, 2.114, 0.004], [-3.191, 1.220, 0.002], [-1.010, -2.199, 0.006]],
  "homo_lumo_gap_ev": 8.95,
  "total_charge": 0,
  "smiles": "Oc1cnc(S)cn1",
  "lumo_energy_ev": 0.359
}

---

Of them, *A* has the lowest stability.

---

*A*
{
  "formula": "C2H5NOS2",
  "method": "ωB97M-V/def2-TZVPD",
  "elements": ["C", "C", "N", "O", "S", "S", "H", "H", "H", "H", "H"],
  "xyz": [[2.263, 0.416, -0.884], [2.748, 0.243, 0.522], [1.312, 1.200, -1.063], [1.885, 0.924, 1.320], [-4.958, 0.897, -0.760], [0.632, 1.750, 0.332], [-3.884, 0.369, -0.190], [2.648, -0.046, -1.719], [2.567, -0.849, 0.716], [3.711, 0.709, 0.590], [-4.481, 0.647, -2.116]],
  "homo_lumo_gap_ev": 8.95,
  "total_charge": 0,
  "lumo_energy_ev": 0.443
}

---

*B*
{
  "formula": "C2H5NOS2",
  "method": "ωB97M-V/def2-TZVPD",
  "elements": ["C", "C", "H", "H", "H", "H", "H", "N", "O", "S", "S"],
  "xyz": [[0.264, 0.211, 1.059], [0.445, -0.337, -0.344], [-0.208, 2.255, 0.664], [0.365, -0.742, 1.716], [1.236, 0.763, 1.516], [0.035, -2.269, -1.407], [-1.377, -2.035, 1.338], [-0.064, -1.627, -0.534], [-1.353, -1.617, 0.004], [-1.070, 1.263, 1.089], [1.505, 0.431, -1.365]],
  "homo_lumo_gap_ev": 8.03,
  "total_charge": 0,
  "lumo_energy_ev": -0.574
}

---

Of them, *B* has the lowest stability.

---

*A*
{
  "formula": "C2N2O3",
  "method": "ωB97M-V/def2-TZVPD",
  "elements": ["C", "C", "N", "N", "O", "O", "O"],
  "xyz": [[-1.616, -0.555, 0.066], [0.904, 0.907, 0.109], [-2.650, -0.675, -0.429], [1.218, -0.276, -0.364], [0.624, 2.015, 0.129], [1.991, -1.140, -0.135], [-0.471, -0.277, 0.624]],
  "homo_lumo_gap_ev": [7.94, 7.94],
  "total_charge": 0,
  "lumo_energy_ev": [-2.796, -2.795]
}

---

*B*
{
  "formula": "C2N2O3",
  "method": "ωB97M-V/def2-TZVPD",
  "elements": ["N", "C", "N", "O", "O", "C", "O"],
  "xyz": [[0.531, 0.276, -1.022], [1.401, -0.279, -0.504], [2.606, -0.613, -0.043], [2.956, -1.343, 0.870], [-1.748, 0.948, 1.043], [-2.468, 0.628, 0.205], [-3.277, 0.382, -0.549]],
  "homo_lumo_gap_ev": [8.27, 8.28],
  "total_charge": 0,
  "smiles": "N#CN=O.O=C=O",
  "lumo_energy_ev": [-2.485, -2.504]
}

---

Of them, *A* has the lowest stability.

---

*A*
{
  "formula": "CH4BBrO2",
  "method": "ωB97M-V/def2-TZVPD",
  "elements": ["O", "B", "O", "C", "Br", "H", "H", "H", "H"],
  "xyz": [[1.011, -1.023, -0.743], [0.304, 0.040, -0.287], [0.741, 1.350, -0.312], [-1.005, -0.257, 0.586], [-1.918, 1.303, 1.240], [1.767, -1.038, -1.453], [1.662, 1.317, -0.529], [-1.658, -0.820, 0.039], [-0.905, -0.871, 1.458]],
  "homo_lumo_gap_ev": 9.81,
  "total_charge": 0,
  "smiles": "OB(O)CBr",
  "lumo_energy_ev": 0.086
}

---

*B*
{
  "formula": "CH4BBrO2",
  "method": "ωB97M-V/def2-TZVPD",
  "elements": ["B", "C", "O", "O", "Br", "H", "H", "H", "H"],
  "xyz": [[0.713, -0.751, 2.297], [-0.422, 0.420, -1.098], [-0.477, -0.456, 2.235], [1.900, -1.163, 2.522], [-2.144, 0.437, -0.136], [-0.454, 0.368, -2.192], [0.104, -0.452, -0.664], [-1.413, 0.495, 1.078], [2.674, -0.898, 2.102]],
  "homo_lumo_gap_ev": 6.47,
  "total_charge": 0,
  "lumo_energy_ev": -0.141
}

---
+++

# Result
  "smiles": "N#CN=O.O=C=O",